"Their platform" Its like he's a lame teen who desperately wants to be part of the group of he makes fun of.

164  2018-03-20 by RBuddCumia


Hehe. Obscurity

"Yet I always rush right back to said platform"

They boot you from the platform for breaking the rules, fagnips.

I wish those people would just behave, already.

so its not a platform?


it's a shit thread

You're a shit thread.

i can't argue with that

Ohpie n Antonny, dese... sshhhhit threads.

Why does he want to be on a leftist site so much?

For the lady dick.

He gets off on upsetting people on it. I was listening to an old O&A episode today where he was bragging about tracking down individual middle aged moms based out of Florida during the Casey Anthony thing, and deliberately mis-retweeting them to get them upset.

• Here the text breaks off for data records:
/*
# Nb2FeHgF, relaxed, DFT GGA+U
# total magnetic moment	0.08	μB per formula unit
# E_tot	-4.8104	eV/atom
data_Nb2FeHgF
_symmetry_space_group_name_H-M 'P 4/m m m'
_symmetry_Int_Tables_number 123
_symmetry_space_group_name_Hall '-P 4 2'
_cell_length_a 4.814
_cell_length_b 4.814
_cell_length_c 3.744
_cell_angle_alpha 90.00
_cell_angle_beta 90.00
_cell_angle_gamma 90.00
loop_
_atom_site_label
_atom_site_fract_x
_atom_site_fract_y
_atom_site_fract_z
_atom_site_occupancy
Nb1 0.000 0.500 0.000 1
Fe1 0.000 0.000 0.000 1
Hg1 0.500 0.500 0.500 1
F1 0.000 0.000 0.500 1


# 1
A plane-wave DFT calculation with PBE-GGA was carried out for a relaxed structure of TlCoHg2Bi.

Lattice parameters (Å, degrees): 5.1810 5.1810 4.9320 90.00 90.00 90.00
Element x y z (fractional)
Tl: 0.0000 0.0000 0.0000
Co: 0.5000 0.5000 0.5000
Hg: 0.0000 0.5000 0.5000
Hg: 0.5000 0.0000 0.5000
Bi: 0.5000 0.5000 0.0000

Output
Energy of formation from the pure elements in eV/f.u.: 0.9
V in Å³/atom: 26.5

# 2
A plane-wave DFT calculation with PBE-GGA was carried out for a relaxed structure of PmSeS.

Lattice parameters (Å, degrees): 4.0336 4.0336 16.8210 90.00 90.00 90.00
Element x y z (fractional)
Pm: 0.0000 0.0000 0.1454
Pm: 0.0000 0.0000 0.8546
Pm: 0.5000 0.5000 0.3545
Pm: 0.5000 0.5000 0.6454
Se: 0.0000 0.5000 0.0000
Se: 0.0000 0.5000 0.5000
Se: 0.5000 0.0000 0.0000
Se: 0.5000 0.0000 0.5000
S: 0.0000 0.0000 0.3156
S: 0.0000 0.0000 0.6844
S: 0.5000 0.5000 0.1844
S: 0.5000 0.5000 0.8156

Output
ΔE_f (raw) in eV per atom: -1.6658
V in Å³/atom: 22.8
Energy above the lowest structure with this stoichiometry in eV/atom: 0.022

# 3
A plane-wave DFT calculation with PBE-GGA was carried out for a relaxed structure of HfPd3Br.

Lattice parameters (Å, degrees): 4.9728 4.9728 4.9728 90.00 90.00 90.00
Element x y z (fractional)
Hf: 0.0000 0.0000 0.0000
Pd: 0.0000 0.0000 0.5000
Pd: 0.0000 0.5000 0.0000
Pd: 0.5000 0.0000 0.0000
Br: 0.5000 0.5000 0.5000

Output
ΔE_f (raw) in eV per atom: 0.5342
V in Å³/atom: 24.6
*/

If you have millions of dollars, lots of free time, are able bodied and have a dying mother to take care of and that's how you spend your time (and you don't even leave the country outside of that or travel for pleasure) you're a fucking waste of life.

It's like being mad at people not inviting you to their party, but you decide to crash it multiple times, get thrown out,and call them "losers".

Like Sirius. He get's fired then shows up for free.

And they don't even want that from him so they banned him again.

In all seriousness is Artie still allowed there? Because he used to show up to work there with felonies in his devil dog stained jeans.

I think it was a blanket ban to keep Opie out. Or some of those Shade45 gentlemen

**Attached: materials data:**
-- begin --
(1)
ZrSnGe: relaxed, PBE.

Calculated values
Energy above the most stable polymorph in this dataset ... 31.7 meV/atom

The structure in CIF format:
```
data_ZrSnGe
_chemical_formula_sum 'Zr4 Sn4 Ge4'
_cell_length_a 6.654
_cell_length_b 6.654
_cell_length_c 6.654
_cell_angle_alpha 90.00
_cell_angle_beta 90.00
_cell_angle_gamma 90.00
_symmetry_space_group_name_H-M 'F -4 3 m'
_symmetry_Int_Tables_number 216
_symmetry_space_group_name_Hall 'F -4 2 3'
loop_
_atom_site_label
_atom_site_type_symbol
_atom_site_fract_x
_atom_site_fract_y
_atom_site_fract_z
Zr1 Zr 0.000 0.000 0.000
Sn1 Sn 0.000 0.000 0.500
Ge1 Ge 0.250 0.250 0.750
```

=====

(2)
SmBr3: relaxed, PBE.

Calculated values
Final energy ... -4.2707 eV per atom

The structure in CIF format:
```
data_SmBr3
_chemical_formula_sum 'Sm4 Br12'
_cell_length_a 6.794
_cell_length_b 6.794
_cell_length_c 12.421
_cell_angle_alpha 90.00
_cell_angle_beta 90.00
_cell_angle_gamma 90.00
_symmetry_space_group_name_H-M 'P 42/m n m'
_symmetry_Int_Tables_number 136
_symmetry_space_group_name_Hall '-P 4n 2n'
loop_
_atom_site_label
_atom_site_type_symbol
_atom_site_fract_x
_atom_site_fract_y
_atom_site_fract_z
Sm1 Sm 0.000 0.000 0.171
Br1 Br 0.200 0.200 0.000
Br2 Br 0.202 0.202 0.339
```

* * * * *

Entry from the Alexandria database: an optimized crystal structure of Ho3Ga8 (PBE-GGA).

Results
- V (Å³/cell) = 220
- DFT formation energy (eV/atom) = -0.501
- magnetic moment (μB/cell) = 0.00
- symmetry = Immm
- total energy (eV per cell) = -43.46

```
Ho3Ga8
1.0
-2.049 2.127 12.644
2.049 -2.127 12.644
2.049 2.127 -12.644
Ho Ga
3 8
direct
0.000 0.000 0.000
0.357 0.857 0.500
0.643 0.143 0.500
0.094 0.594 0.500
0.189 0.689 0.500
0.252 0.252 0.000
0.452 0.452 0.000
0.548 0.548 0.000
0.748 0.748 0.000
0.811 0.311 0.500
0.906 0.406 0.500
```



Entry from the Alexandria database: an optimized crystal structure of Ho13Ga2 (PBE-GGA).

Results
- V (Å³/cell) = 443
- DFT formation energy (eV/atom) = -0.094
- magnetic moment (μB/cell) = 0.00
- symmetry = P-1
- total energy (eV per cell) = -66.98

```
Ho13Ga2
1.0
6.608 0.000 0.000
1.444 8.027 0.000
1.425 3.885 8.356
Ho Ga
13 2
direct
0.000 0.000 0.000
0.037 0.226 0.338
0.183 0.646 0.358
0.238 0.578 0.008
0.279 0.347 0.763
0.438 0.071 0.148
0.479 0.765 0.577
0.521 0.235 0.423
0.562 0.929 0.852
0.721 0.653 0.237
0.762 0.422 0.992
0.817 0.354 0.642
0.963 0.774 0.662
0.183 0.050 0.674
0.817 0.950 0.326
```
-- stop --

This is retarded i dont c why he is so obsessed with twitter its wierd...

I agree, person who types like she got shot in the head and lived.

they're a fucking publically registered company. of course they can use their politics to get rid of you. idiot

Wow he's already crushing it with the Opie numbahs

The closer Ant gets to death and having to see that disappointed father's face, the more angry at the world he is.

<<<
Version a
TlZnAgPtSe | PBE | relaxed

Summary:
ρ = 9.630 Mg/m³
Total magnetic moment = 0.00 μB per formula unit
DOS at the Fermi energy = 2.8 states/eV/cell

a = 9.507 Å, b = 4.013 Å, c = 6.389 Å
α = 90.00°, β = 112.75°, γ = 90.00°
Space group Cm (No. 8)
Asymmetric unit:
Tl (0.000, 0.000, 0.000)
Zn (0.098, 0.500, 0.691)
Ag (0.284, 0.500, 0.223)
Pt (0.257, 0.000, 0.883)
Se (0.317, 0.000, 0.523)


Version b
TlZnAgPtSe | PBE | relaxed

Summary:
ρ = 9.872 Mg/m³
Total magnetic moment = 0.00 μB per formula unit
DOS at the Fermi energy = 0.6 states/eV/cell

a = 3.959 Å, b = 4.455 Å, c = 6.820 Å
α = 105.49°, β = 105.88°, γ = 95.49°
Space group P1 (No. 1)
Asymmetric unit:
Tl (0.000, 0.000, 0.000)
Zn (0.262, 0.619, 0.586)
Ag (0.735, 0.222, 0.629)
Pt (0.435, 0.521, 0.950)
Se (0.658, 0.646, 0.360)


Version c
TlZnAgPtSe | PBE | relaxed

Summary:
ρ = 9.771 Mg/m³
Total magnetic moment = 0.00 μB per formula unit
DOS at the Fermi energy = 1.6 states/eV/cell

a = 3.963 Å, b = 4.653 Å, c = 6.439 Å
α = 68.90°, β = 88.97°, γ = 89.26°
Space group P1 (No. 1)
Asymmetric unit:
Tl (0.000, 0.000, 0.000)
Zn (0.525, 0.495, 0.347)
Ag (0.506, 0.567, 0.912)
Pt (0.017, 0.547, 0.601)
Se (0.028, 0.111, 0.454)


version b is the most stable structure; the next one sits 22 meV per atom above it.


Version a
TlZnAgPtSe | PBE | relaxed

Summary:
ρ = 9.968 Mg/m³
Total magnetic moment = 0.00 μB per formula unit
DOS at the Fermi energy = 1.1 states/eV/cell

a = 3.975 Å, b = 4.499 Å, c = 6.538 Å
α = 77.65°, β = 72.35°, γ = 89.90°
Space group P1 (No. 1)
Asymmetric unit:
Tl (0.000, 0.000, 0.000)
Zn (0.821, 0.402, 0.357)
Ag (0.273, 0.996, 0.454)
Pt (0.460, 0.456, 0.077)
Se (0.669, 0.672, 0.663)


Version b
TlZnAgPtSe | PBE | relaxed

Summary:
ρ = 9.892 Mg/m³
Total magnetic moment = 0.00 μB per formula unit
DOS at the Fermi energy = 1.1 states/eV/cell

a = 5.165 Å, b = 4.072 Å, c = 5.514 Å
α = 90.00°, β = 109.39°, γ = 90.00°
Space group Pm (No. 6)
Asymmetric unit:
Tl (0.000, 0.000, 0.000)
Zn (0.519, 0.000, 0.492)
Ag (0.672, 0.500, 0.225)
Pt (0.015, 0.000, 0.507)
Se (0.351, 0.500, 0.730)


version a is the most stable structure; the next one sits 35 meV per atom above it.


Version a
TlZnAgPtSe | PBE | relaxed

Summary:
ρ = 9.233 Mg/m³
Total magnetic moment = 0.00 μB per formula unit
DOS at the Fermi energy = 3.5 states/eV/cell

a = 7.686 Å, b = 4.414 Å, c = 7.365 Å
α = 90.00°, β = 110.25°, γ = 90.00°
Space group Cm (No. 8)
Asymmetric unit:
Tl (0.000, 0.000, 0.000)
Zn (0.288, 0.500, 0.360)
Ag (0.021, 0.500, 0.562)
Pt (0.132, 0.000, 0.393)
Se (0.257, 0.000, 0.766)


Version b
TlZnAgPtSe | PBE | relaxed

Summary:
ρ = 9.642 Mg/m³
Total magnetic moment = 0.00 μB per formula unit
DOS at the Fermi energy = 1.9 states/eV/cell

a = 5.605 Å, b = 3.523 Å, c = 6.249 Å
α = 90.00°, β = 114.54°, γ = 90.00°
Space group Pm (No. 6)
Asymmetric unit:
Tl (0.000, 0.000, 0.000)
Zn (0.098, 0.500, 0.510)
Ag (0.471, 0.500, 0.935)
Pt (0.451, 0.000, 0.573)
Se (0.627, 0.500, 0.390)


Version c
>>>
Back to the page

Without Twitter how can he groom young girls? He's a fucking creep.

He got bounced for saying any male who used the prefix "cis" should be punched in the face. He got banned for encouraging violence, no politics. He is probably apoplectic that there was a school shooting today and he can't do 50 tweets about guns

No shit, I figured he just got banned for circumventing the last one. He broke Twitter law again? The recidivism in that community is astounding.

Stop posting your boring twitter comments here.

I'm also guessing that he gets a shit ton of reports filed against him without any action taken, doesn't he realize that he has to take it pretty far to lose his account?

"Lame teens are great. They can't run away!"

-Anthony Cumia

Say "of" again, stupid.

Seeing someone with that avatar and handle breaking Ant's balls has to get to him. Deep down, he knows he cultivated this monster for 2 decades and it's unraveling him more and more.

A grown man blubbering about being kicked off Twitter for being an obnoxious dickfaced troll...what a fag. Whoever owns and runs Twitter can do whatever the fuck they like with it, if he doesn't like it then perhaps he should put together his own superior platform where he can say whatever he likes.

A basement Twitter if you will

Twitter isnt a constituional right

Where the fuck is my free speech


If twitter kicks people off their platform for right wing politics why are there so many conservatives on the site. I highly doubt that Marco Rubio has ever been warned about any of his tweets. Maybe it has more to do about class than politics.

  1. He's right about twittr banning people for politics
  2. That's not why he was suspended.

It's like when Alex jones said Anthony was fired from Sirius XM for being a conservative.


"Why don't these liberal assholes like me? What's so bad about me? I'm still funny!"

Even Steven Crowder was suspended from Twitter, and he's as G-rated as you can get. Yes, this is politically motivated. Lena Dunham will never get her account suspended, no matter what she says. Ant will be suspended again and again because he's right wing, and because there are a bunch of guys who are wholly obsessed with him, and have dedicated far too much energy to "taking him down"

Hasn't twitter made it pretty clear that they DO bounce people based on politics? What is the shock here?

it's a shit thread

If you have millions of dollars, lots of free time, are able bodied and have a dying mother to take care of and that's how you spend your time (and you don't even leave the country outside of that or travel for pleasure) you're a fucking waste of life.

A basement Twitter if you will
